[Material]
Record 1
Diffraction record for Pm5Te4I. The powder diffractogram is theoretical, not measured: it uses DFT lattice parameters and positions (GGA-PBE) and Cu Kα (λ = 1.5418 Å).
Intensities are scaled so that the largest is 100.

Structural model:
```
Pm5Te4I
1.0
2.2158 1.2793 18.6952
-2.2158 1.2793 18.6952
0.0000 -2.5586 18.6952
Pm Te I
5 4 1
Direct
0.0000 0.0000 0.0000
0.2043 0.2043 0.2043
0.3999 0.3999 0.3999
0.6001 0.6001 0.6001
0.7957 0.7957 0.7957
0.0985 0.0985 0.0985
0.3002 0.3002 0.3002
0.6998 0.6998 0.6998
0.9015 0.9015 0.9015
0.5000 0.5000 0.5000
```

Top 10 peaks for 10 to 90 degrees two-theta, low angle first:
| 2θ/deg | d (Å) | I_rel |
| --- | --- | --- |
| 28.17 | 3.167 | 100 |
| 39.81 | 2.264 | 37 |
| 40.72 | 2.216 | 38 |
| 48.71 | 1.870 | 6 |
| 50.25 | 1.816 | 20 |
| 58.26 | 1.584 | 12 |
| 65.30 | 1.429 | 16 |
| 66.59 | 1.404 | 17 |
| 73.50 | 1.288 | 12 |
| 74.12 | 1.279 | 6 |


Record 2
Diffraction record for CsSr2Li2Br7. The powder diffractogram is theoretical, not measured: it uses DFT lattice parameters and positions (GGA-PBE) and Cu Kα (λ = 1.5418 Å).
Intensities are scaled so that the largest is 100.

Structural model:
```
CsSr2Li2Br7
1.0
-2.9974 11.7704 3.0261
2.9974 -11.7704 3.0261
2.9974 11.7704 -3.0261
Cs Sr Li Br
1 2 2 7
Direct
0.0000 0.0000 0.0000
0.3751 0.0029 0.3721
0.6308 0.0029 0.6279
0.2112 0.4617 0.7494
0.7123 0.4617 0.2506
0.1338 0.5039 0.6299
0.2727 0.0269 0.2458
0.3785 0.5093 0.8692
0.5071 0.0071 0.5000
0.6401 0.5093 0.1308
0.7811 0.0269 0.7542
0.8740 0.5039 0.3701
```

Top 10 peaks for 10 to 90 degrees two-theta, low angle first:
| 2θ/deg | d (Å) | I_rel |
| --- | --- | --- |
| 25.82 | 3.450 | 100 |
| 29.52 | 3.026 | 52 |
| 29.81 | 2.997 | 52 |
| 30.38 | 2.942 | 49 |
| 42.45 | 2.130 | 38 |
| 42.87 | 2.109 | 37 |
| 43.08 | 2.100 | 37 |
| 50.17 | 1.818 | 15 |
| 50.54 | 1.806 | 15 |
| 53.09 | 1.725 | 37 |


Record 3
Diffraction record for Pr2ThPt3. The powder diffractogram is theoretical, not measured: it uses DFT lattice parameters and positions (GGA-PBE) and Cu Kα (λ = 1.5418 Å).
Intensities are scaled so that the largest is 100.

Structural model:
```
Pr2ThPt3
1.0
6.6901 -2.9850 0.0000
6.6901 2.9850 0.0000
-2.6298 0.0000 7.9784
Pr Th Pt
4 2 6
Direct
0.1658 0.1676 0.0833
0.1676 0.1658 0.5833
0.8324 0.8342 0.4167
0.8342 0.8324 0.9167
0.4995 0.5005 0.7500
0.5005 0.4995 0.2500
0.0004 0.9996 0.2500
0.9996 0.0004 0.7500
0.3398 0.3415 0.4203
0.3415 0.3398 0.9203
0.6585 0.6602 0.0797
0.6602 0.6585 0.5797
```

Top 10 peaks for 10 to 90 degrees two-theta, low angle first:
| 2θ/deg | d (Å) | I_rel |
| --- | --- | --- |
| 29.95 | 2.983 | 100 |
| 42.69 | 2.118 | 13 |
| 42.86 | 2.110 | 51 |
| 43.07 | 2.100 | 13 |
| 53.01 | 1.727 | 13 |
| 53.34 | 1.718 | 14 |
| 62.24 | 1.492 | 13 |
| 70.58 | 1.334 | 23 |
| 78.29 | 1.221 | 8 |
| 78.81 | 1.214 | 9 |


Record 4
Diffraction record for Tb6Nd5Sm2. The powder diffractogram is theoretical, not measured: it uses DFT lattice parameters and positions (GGA-PBE) and Cu Kα (λ = 1.5418 Å).
Intensities are scaled so that the largest is 100.

Structural model:
```
Tb6Nd5Sm2
1.0
11.7790 0.0000 0.0000
0.0000 20.6864 0.0000
0.0000 0.0000 3.6259
Tb Nd Sm
12 10 4
Direct
0.0607 0.0793 0.0000
0.0793 0.3674 0.0000
0.1774 0.6343 0.5000
0.3226 0.1343 0.5000
0.4207 0.8674 0.0000
0.4393 0.5793 0.0000
0.5607 0.4207 0.0000
0.5793 0.1326 0.0000
0.6774 0.8657 0.5000
0.8226 0.3657 0.5000
0.9207 0.6326 0.0000
0.9393 0.9207 0.0000
0.0000 0.5000 0.5000
0.0846 0.2247 0.5000
0.1996 0.9491 0.5000
0.3004 0.4491 0.5000
0.4154 0.7247 0.5000
0.5000 0.0000 0.5000
0.5846 0.2753 0.5000
0.6996 0.5509 0.5000
0.8004 0.0509 0.5000
0.9154 0.7753 0.5000
0.1722 0.7868 0.0000
0.3278 0.2868 0.0000
0.6722 0.7132 0.0000
0.8278 0.2132 0.0000
```

Top 10 peaks for 10 to 90 degrees two-theta, low angle first:
| 2θ/deg | d (Å) | I_rel |
| --- | --- | --- |
| 30.67 | 2.915 | 67 |
| 31.07 | 2.879 | 53 |
| 31.20 | 2.866 | 67 |
| 31.75 | 2.818 | 100 |
| 33.81 | 2.651 | 40 |
| 34.63 | 2.590 | 25 |
| 36.15 | 2.485 | 34 |
[Job]
Next, copy the whole of the block further above exactly.
[Here it is]
Record 1
Diffraction record for Pm5Te4I. The powder diffractogram is theoretical, not measured: it uses DFT lattice parameters and positions (GGA-PBE) and Cu Kα (λ = 1.5418 Å).
Intensities are scaled so that the largest is 100.

Structural model:
```
Pm5Te4I
1.0
2.2158 1.2793 18.6952
-2.2158 1.2793 18.6952
0.0000 -2.5586 18.6952
Pm Te I
5 4 1
Direct
0.0000 0.0000 0.0000
0.2043 0.2043 0.2043
0.3999 0.3999 0.3999
0.6001 0.6001 0.6001
0.7957 0.7957 0.7957
0.0985 0.0985 0.0985
0.3002 0.3002 0.3002
0.6998 0.6998 0.6998
0.9015 0.9015 0.9015
0.5000 0.5000 0.5000
```

Top 10 peaks for 10 to 90 degrees two-theta, low angle first:
| 2θ/deg | d (Å) | I_rel |
| --- | --- | --- |
| 28.17 | 3.167 | 100 |
| 39.81 | 2.264 | 37 |
| 40.72 | 2.216 | 38 |
| 48.71 | 1.870 | 6 |
| 50.25 | 1.816 | 20 |
| 58.26 | 1.584 | 12 |
| 65.30 | 1.429 | 16 |
| 66.59 | 1.404 | 17 |
| 73.50 | 1.288 | 12 |
| 74.12 | 1.279 | 6 |


Record 2
Diffraction record for CsSr2Li2Br7. The powder diffractogram is theoretical, not measured: it uses DFT lattice parameters and positions (GGA-PBE) and Cu Kα (λ = 1.5418 Å).
Intensities are scaled so that the largest is 100.

Structural model:
```
CsSr2Li2Br7
1.0
-2.9974 11.7704 3.0261
2.9974 -11.7704 3.0261
2.9974 11.7704 -3.0261
Cs Sr Li Br
1 2 2 7
Direct
0.0000 0.0000 0.0000
0.3751 0.0029 0.3721
0.6308 0.0029 0.6279
0.2112 0.4617 0.7494
0.7123 0.4617 0.2506
0.1338 0.5039 0.6299
0.2727 0.0269 0.2458
0.3785 0.5093 0.8692
0.5071 0.0071 0.5000
0.6401 0.5093 0.1308
0.7811 0.0269 0.7542
0.8740 0.5039 0.3701
```

Top 10 peaks for 10 to 90 degrees two-theta, low angle first:
| 2θ/deg | d (Å) | I_rel |
| --- | --- | --- |
| 25.82 | 3.450 | 100 |
| 29.52 | 3.026 | 52 |
| 29.81 | 2.997 | 52 |
| 30.38 | 2.942 | 49 |
| 42.45 | 2.130 | 38 |
| 42.87 | 2.109 | 37 |
| 43.08 | 2.100 | 37 |
| 50.17 | 1.818 | 15 |
| 50.54 | 1.806 | 15 |
| 53.09 | 1.725 | 37 |


Record 3
Diffraction record for Pr2ThPt3. The powder diffractogram is theoretical, not measured: it uses DFT lattice parameters and positions (GGA-PBE) and Cu Kα (λ = 1.5418 Å).
Intensities are scaled so that the largest is 100.

Structural model:
```
Pr2ThPt3
1.0
6.6901 -2.9850 0.0000
6.6901 2.9850 0.0000
-2.6298 0.0000 7.9784
Pr Th Pt
4 2 6
Direct
0.1658 0.1676 0.0833
0.1676 0.1658 0.5833
0.8324 0.8342 0.4167
0.8342 0.8324 0.9167
0.4995 0.5005 0.7500
0.5005 0.4995 0.2500
0.0004 0.9996 0.2500
0.9996 0.0004 0.7500
0.3398 0.3415 0.4203
0.3415 0.3398 0.9203
0.6585 0.6602 0.0797
0.6602 0.6585 0.5797
```

Top 10 peaks for 10 to 90 degrees two-theta, low angle first:
| 2θ/deg | d (Å) | I_rel |
| --- | --- | --- |
| 29.95 | 2.983 | 100 |
| 42.69 | 2.118 | 13 |
| 42.86 | 2.110 | 51 |
| 43.07 | 2.100 | 13 |
| 53.01 | 1.727 | 13 |
| 53.34 | 1.718 | 14 |
| 62.24 | 1.492 | 13 |
| 70.58 | 1.334 | 23 |
| 78.29 | 1.221 | 8 |
| 78.81 | 1.214 | 9 |


Record 4
Diffraction record for Tb6Nd5Sm2. The powder diffractogram is theoretical, not measured: it uses DFT lattice parameters and positions (GGA-PBE) and Cu Kα (λ = 1.5418 Å).
Intensities are scaled so that the largest is 100.

Structural model:
```
Tb6Nd5Sm2
1.0
11.7790 0.0000 0.0000
0.0000 20.6864 0.0000
0.0000 0.0000 3.6259
Tb Nd Sm
12 10 4
Direct
0.0607 0.0793 0.0000
0.0793 0.3674 0.0000
0.1774 0.6343 0.5000
0.3226 0.1343 0.5000
0.4207 0.8674 0.0000
0.4393 0.5793 0.0000
0.5607 0.4207 0.0000
0.5793 0.1326 0.0000
0.6774 0.8657 0.5000
0.8226 0.3657 0.5000
0.9207 0.6326 0.0000
0.9393 0.9207 0.0000
0.0000 0.5000 0.5000
0.0846 0.2247 0.5000
0.1996 0.9491 0.5000
0.3004 0.4491 0.5000
0.4154 0.7247 0.5000
0.5000 0.0000 0.5000
0.5846 0.2753 0.5000
0.6996 0.5509 0.5000
0.8004 0.0509 0.5000
0.9154 0.7753 0.5000
0.1722 0.7868 0.0000
0.3278 0.2868 0.0000
0.6722 0.7132 0.0000
0.8278 0.2132 0.0000
```

Top 10 peaks for 10 to 90 degrees two-theta, low angle first:
| 2θ/deg | d (Å) | I_rel |
| --- | --- | --- |
| 30.67 | 2.915 | 67 |
| 31.07 | 2.879 | 53 |
| 31.20 | 2.866 | 67 |
| 31.75 | 2.818 | 100 |
| 33.81 | 2.651 | 40 |
| 34.63 | 2.590 | 25 |
| 36.15 | 2.485 | 34 |